2018 Oklahoma State Senate Special Election

From OpenVoteData

The 2018 Oklahoma State Senate Special Election took place on February 13, 2018. Republican won the seat by receiving 68.0% of the popular vote. A total number of 9,108 votes were cast in this election. There were totally 2 candidates ran for the seat.

Results by Seats

District 27

Casey Murdock of Republican won the election with 68.0% of the votes, alongside receiving 6,190 votes. Amber Jensen of Democratic was defeated by a margin of 35.9%, receiving 32.0% of the votes, totaling 2,918 votes. The total votes cast was 9,108.

2018 Oklahoma State Senate Special Election in District 27
Candidate Party Votes %
Casey Murdock Republican 6,190 68.0%
Amber Jensen Democratic 2,918 32.0%
Date: 2018-02-13, Margin: 35.9%, Valid Votes: 9,108

== Here the article breaks off for data records ==
/*
1.
For CuPdPb, a crystal structure in Alexandria, relaxed with PBE gives the simulated powder diffractogram in this record (Cu Kα, 1.54184 Å).
No peak broadening, texture or thermal motion is included.

Cell and atoms:
Cell lengths 4.8225, 4.8440, 9.3545 Å; angles 90.00, 90.00, 90.00 degrees
Space group Cmmm (No. 65)
Symmetry-distinct sites (fractional):
Cu 0.0000 0.0000 0.1317 [4 per cell]
Pd 0.0000 0.0000 0.5000 [2 per cell]
Pd 0.0000 0.5000 0.0000 [2 per cell]
Pb 0.0000 0.5000 0.3102 [4 per cell]

Principal peaks in the range 5° ≤ 2θ ≤ 70°, sorted by position:
2theta  intensity  h k l
26.07  21  1 1 0
32.45  28  1 1 2
37.12  35  0 2 0
37.29  34  2 0 0
39.11  100  1 1 3
53.63  24  2 2 0
68.24  19  1 3 3
68.46  19  3 1 3

***

2.
For HfMg4In7, a crystal structure in Alexandria, relaxed with PBE gives the simulated powder diffractogram in this record (Cu Kα, 1.54184 Å).
No peak broadening, texture or thermal motion is included.

Cell and atoms:
Cell lengths 3.3296, 3.3296, 29.8708 Å; angles 90.00, 90.00, 120.00 degrees
Space group P-3m1 (No. 164)
Symmetry-distinct sites (fractional):
Hf 0.0000 0.0000 0.0000 [1 per cell]
Mg 0.3333 0.6667 0.1629 [2 per cell]
Mg 0.3333 0.6667 0.4190 [2 per cell]
In 0.0000 0.0000 0.2462 [2 per cell]
In 0.0000 0.0000 0.5000 [1 per cell]
In 0.3333 0.6667 0.6650 [2 per cell]
In 0.3333 0.6667 0.9176 [2 per cell]

Principal peaks in the range 5° ≤ 2θ ≤ 70°, sorted by position:
2theta  intensity  h k l
8.88  27  0 0 3
11.85  16  0 0 4
33.31  100  1 0 4
36.08  26  0 0 12
39.49  61  0 1 8
55.17  23  1 1 0
58.94  18  1 0 16
67.71  23  1 1 12

***

3.
For BaAg2Cl4, a crystal structure in Alexandria, relaxed with PBE gives the simulated powder diffractogram in this record (Cu Kα, 1.54184 Å).
No peak broadening, texture or thermal motion is included.

Cell and atoms:
Cell lengths 7.5976, 7.5976, 6.7949 Å; angles 90.00, 90.00, 90.00 degrees
Space group I422 (No. 97)
Symmetry-distinct sites (fractional):
Ba 0.0000 0.0000 0.0000 [2 per cell]
Ag 0.0000 0.5000 0.0000 [4 per cell]
Cl 0.1868 0.3132 0.7500 [8 per cell]

Principal peaks in the range 5° ≤ 2θ ≤ 70°, sorted by position:
2theta  intensity  h k l
17.51  48  1 0 1
23.42  44  2 0 0
29.39  42  2 1 1
33.36  52  2 2 0
35.45  100  2 0 2
42.92  23  2 2 2
53.97  26  0 0 4
60.98  24  4 2 2

***

4.
For La5Pr4Tl4, a crystal structure in Alexandria, relaxed with PBE gives the simulated powder diffractogram in this record (Cu Kα, 1.54184 Å).
No peak broadening, texture or thermal motion is included.

Cell and atoms:
Cell lengths 12.8879, 12.8879, 5.2830 Å; angles 90.00, 90.00, 90.00 degrees
Space group I4/m (No. 87)
Symmetry-distinct sites (fractional):
La 0.0000 0.0000 0.0000 [2 per cell]
La 0.0991 0.1943 0.5000 [8 per cell]
Pr 0.0890 0.3851 0.0000 [8 per cell]
Tl 0.1088 0.7690 0.0000 [8 per cell]

Principal peaks in the range 5° ≤ 2θ ≤ 70°, sorted by position:
2theta  intensity  h k l
30.19  100  3 2 1
31.03  10  4 2 0
33.31  12  4 1 1
33.94  23  0 0 2
35.52  17  1 5 0
*/
== Here the article continues ==

The election took place in nine counties. The breakdown of results by county is shown below.

2018 Oklahoma State Senate Special Election in District 27 (General) - Results by County
County Casey Murdock
Amber Jensen
Total Margin
Votes % Votes %
Beaver 673 71.6% 267 28.4% 940 43.2%
Cimarron 423 90.0% 47 10.0% 470 80.0%
Dewey 438 64.3% 243 35.7% 681 28.6%
Ellis 766 69.6% 334 30.4% 1,100 39.3%
Harper 337 60.8% 217 39.2% 554 21.7%
Major 1,049 75.0% 350 25.0% 1,399 50.0%
Texas 1,097 73.8% 390 26.2% 1,487 47.5%
Woods 537 61.7% 334 38.3% 871 23.3%
Woodward 870 54.2% 736 45.8% 1,606 8.3%
Total 6,190 68.0% 2,918 32.0% 9,108 35.9%

Inserted here: data records =
/*
(1)
LiDy2ZnAu4: calculated powder XRD pattern (Cu Ka), based on a crystal structure in Alexandria, relaxed with GGA-PBE.
Kinematic intensities with the Lorentz-polarization factor, no thermal factor.

Largest 10 diffraction maxima, in order of falling intensity, 2θ from 10° to 90°:
| Position (°2θ) | d/Å | I_rel |
| --- | --- | --- |
| 36.4 | 2.467 | 100 |
| 37.8 | 2.378 | 85 |
| 66.5 | 1.407 | 33 |
| 53.5 | 1.712 | 32 |
| 26.0 | 3.425 | 25 |
| 65.5 | 1.425 | 18 |
| 89.5 | 1.095 | 16 |
| 43.7 | 2.072 | 13 |
| 69.2 | 1.357 | 12 |
| 77.3 | 1.234 | 11 |

Crystal structure
Cell: 4.9347 4.9347 22.8977 Å, 90.00 90.00 120.00°
Space group R-3m (No. 166, hexagonal axes)
Symmetry-distinct sites (fractional):
Li1 0.0000 0.0000 0.0000 (multiplicity 3)
Dy1 0.0000 0.0000 0.2469 (multiplicity 6)
Zn1 0.0000 0.0000 0.5000 (multiplicity 3)
Au1 0.0000 0.0000 0.1179 (multiplicity 6)
Au2 0.0000 0.0000 0.3775 (multiplicity 6)


(2)
Ce2HoRuN4: calculated powder XRD pattern (Cu Ka), based on a crystal structure in Alexandria, relaxed with GGA-PBE.
Kinematic intensities with the Lorentz-polarization factor, no thermal factor.

Largest 10 diffraction maxima, in order of falling intensity, 2θ from 10° to 90°:
| Position (°2θ) | d/Å | I_rel |
| --- | --- | --- |
| 31.5 | 2.837 | 100 |
| 38.4 | 2.344 | 94 |
| 30.4 | 2.942 | 67 |
| 27.5 | 3.243 | 59 |
| 30.7 | 2.915 | 33 |
| 49.7 | 1.833 | 27 |
| 43.7 | 2.071 | 23 |
| 41.6 | 2.169 | 22 |
| 35.9 | 2.500 | 22 |
| 48.0 | 1.894 | 21 |

Crystal structure
Cell: 3.3780 11.7668 11.6614 Å, 90.00 90.00 90.00°
Space group Cmcm (No. 63)
Symmetry-distinct sites (fractional):
Ce1 0.0000 0.1311 0.0518 (multiplicity 8)
Ho1 0.0000 0.3830 0.2500 (multiplicity 4)
Ru1 0.0000 0.3557 0.7500 (multiplicity 4)
N1 0.0000 0.0352 0.2500 (multiplicity 4)
N2 0.0000 0.2255 0.6286 (multiplicity 8)
N3 0.0000 0.5000 0.0000 (multiplicity 4)


(3)
LiNdGaCo: calculated powder XRD pattern (Cu Ka), based on a crystal structure in Alexandria, relaxed with GGA-PBE.
Kinematic intensities with the Lorentz-polarization factor, no thermal factor.

Largest 10 diffraction maxima, in order of falling intensity, 2θ from 10° to 90°:
| Position (°2θ) | d/Å | I_rel |
| --- | --- | --- |
| 39.2 | 2.301 | 100 |
| 27.4 | 3.254 | 36 |
| 71.0 | 1.328 | 33 |
| 23.7 | 3.757 | 26 |
| 56.6 | 1.627 | 17 |
| 64.0 | 1.455 | 14 |
| 46.3 | 1.962 | 13 |
| 84.2 | 1.150 | 10 |
| 48.5 | 1.878 | 10 |
| 62.2 | 1.493 | 5 |

Crystal structure
Cell: 6.5072 6.5072 6.5072 Å, 90.00 90.00 90.00°
Space group F-43m (No. 216)
Symmetry-distinct sites (fractional):
Li1 0.0000 0.0000 0.0000 (multiplicity 4)
Nd1 0.2500 0.2500 0.2500 (multiplicity 4)
Ga1 0.2500 0.2500 0.7500 (multiplicity 4)
Co1 0.0000 0.0000 0.5000 (multiplicity 4)


What did the second record say?
Ce2HoRuN4: calculated powder XRD pattern (Cu Ka), based on a crystal structure in Alexandria, relaxed with GGA-PBE.
Kinematic intensities with the Lorentz-polarization factor, no thermal factor.
*/
Here the page continues =


Results by Precinct in Beaver - District 27 (General)
Precinct Casey Murdock Amber Jensen Total
040011 68 23 91
040013 31 11 42
040023 261 152 413
040025 42 20 62
040026 17 6 23
040031 57 13 70
040033 197 42 239
Total 673 267 940


Results by Precinct in Cimarron - District 27 (General)
Precinct Casey Murdock Amber Jensen Total
130002 89 10 99
130003 67 18 85
130004 59 6 65
130005 58 10 68
130006 126 2 128
130007 24 1 25
Total 423 47 470


Results by Precinct in Dewey - District 27 (General)
Precinct Casey Murdock Amber Jensen Total
220001 47 39 86
220002 15 4 19
220003 26 25 51
220004 33 16 49
220005 158 68 226
220007 25 9 34
220008 110 60 170
220009 19 18 37
220010 5 4 9
Total 438 243 681


Results by Precinct in Ellis - District 27 (General)
Precinct Casey Murdock Amber Jensen Total
230001 243 72 315
230003 257 136 393
230004 40 22 62
230006 26 11 37
230007 86 38 124
230008 77 33 110
230009 37 22 59
Total 766 334 1,100


Results by Precinct in Harper - District 27 (General)
Precinct Casey Murdock Amber Jensen Total
300201 110 91 201
300203 26 11 37
300301 65 54 119
300302 19 7 26
300303 29 16 45
300402 88 38 126
Total 337 217 554

┌──
(1)
# GdDyCl2O2
Simulated PXRD pattern, copper Kα. Input: the GGA-PBE geometry in OQMD.

Crystal structure
```
GdDyCl2O2
1.0
3.898 0.000 0.000
0.000 3.898 0.000
0.000 0.000 6.736
Gd Dy Cl O
1 1 2 2
Direct
0.000 0.000 0.000
0.500 0.500 0.339
0.000 0.000 0.544
0.500 0.500 0.800
0.000 0.500 0.173
0.500 0.000 0.173
```

Top 10 peaks for 2θ = 15–90°, low angle first:
2θ/deg, Rel. int.
26.4, 95
32.5, 65
35.2, 100
42.4, 20
46.6, 34
52.6, 23
54.4, 30
59.8, 55
68.0, 11
79.1, 17

(2)
# Lu2Ni3W4C3
Simulated PXRD pattern, copper Kα. Input: the GGA-PBE geometry in OQMD.

Crystal structure
```
Lu2Ni3W4C3
1.0
4.627 -2.669 0.000
4.627 2.669 0.000
-3.213 0.000 13.178
Lu Ni W C
4 6 8 6
Direct
0.044 0.880 0.626
0.120 0.956 0.874
0.880 0.044 0.126
0.956 0.120 0.374
0.086 0.406 0.752
0.406 0.086 0.252
0.421 0.579 0.250
0.579 0.421 0.750
0.594 0.914 0.748
0.914 0.594 0.248
0.194 0.351 0.085
0.292 0.486 0.415
0.351 0.194 0.585
0.486 0.292 0.915
0.514 0.708 0.085
0.649 0.806 0.415
0.708 0.514 0.585
0.806 0.649 0.915
0.000 0.500 0.500
0.168 0.663 0.000
0.337 0.832 0.500
0.500 0.000 0.000
0.663 0.168 0.500
0.832 0.337 0.000
```

Top 10 peaks for 2θ = 15–90°, low angle first:
2θ/deg, Rel. int.
27.1, 40
33.6, 65
34.2, 80
34.3, 35
39.3, 99
39.5, 100
39.6, 90
41.1, 42
43.5, 31
60.0, 56

(3)
# TbGdBi2S2
Simulated PXRD pattern, copper Kα. Input: the GGA-PBE geometry in OQMD.

Crystal structure
```
TbGdBi2S2
1.0
4.220 0.000 0.000
0.000 4.220 0.000
0.000 0.000 8.755
Tb Gd Bi S
1 1 2 2
Direct
0.000 0.000 0.000
0.500 0.500 0.368
0.000 0.500 0.684
0.500 0.000 0.684
0.000 0.000 0.309
0.500 0.500 0.056
```

Top 10 peaks for 2θ = 15–90°, low angle first:
2θ/deg, Rel. int.
23.4, 35
30.6, 46
31.7, 100
36.4, 79
42.9, 40
51.8, 19
53.6, 38
61.4, 19
└──


Results by Precinct in Major - District 27 (General)
Precinct Casey Murdock Amber Jensen Total
470002 169 49 218
470004 52 24 76
470009 18 10 28
470010 62 19 81
470015 55 14 69
470016 22 2 24
470020 399 126 525
470022 272 106 378
Total 1,049 350 1,399


Results by Precinct in Texas - District 27 (General)
Precinct Casey Murdock Amber Jensen Total
700101 143 25 168
700102 52 12 64
700104 66 11 77
700107 32 14 46
700201 183 66 249
700202 64 23 87
700205 209 72 281
700302 36 2 38
700303 96 16 112
700304 62 50 112
700305 154 99 253
Total 1,097 390 1,487


Results by Precinct in Woods - District 27 (General)
Precinct Casey Murdock Amber Jensen Total
760001 111 79 190
760002 225 90 315
760003 31 43 74
760004 12 10 22
760005 105 86 191
760008 53 26 79
Total 537 334 871


Results by Precinct in Woodward - District 27 (General)
Precinct Casey Murdock Amber Jensen Total
770101 68 43 111
770102 37 40 77
770104 2 - 2
770105 109 101 210
770106 20 6 26
770201 84 100 184
770202 191 150 341
770203 75 51 126
770204 29 33 62
770301 29 42 71
770302 30 22 52
770304 22 24 46
770306 153 113 266
770307 21 11 32
Total 870 736 1,606

See Also

List of Oklahoma State Senate Elections